
Wednesday, January 31, 2007

The Wave, and Titus Groan

Here is Jessica Dean's Junior Certificate book report analysing two books - Morton Rhue's The Wave and Mervyn Peake's Titus Groan, from the Gormenghast trilogy.

Tuesday, January 30, 2007

Science site

A cross-curricular plug for our Science Department colleagues, whose new site, mainly for pupils, has just opened here (partly still under construction).

Friday, January 26, 2007


We now have a weekend Exodus, with term resuming on Tuesday. Events in the next few weeks before half-term will include the Junior Play, the St Andrew's one-act drama festival, the House debating final, and the Transition Year Information Evening. Click on our Calendar for more.

Today is the 100th anniversary of one of the most famous events in Irish literary history - the riot at the Abbey Theatre on the occasion on the first night of Synge's The Playboy of the Western World (pictured - Druid production).

Thursday, January 25, 2007

Donne, Messud

Two more book recommendations from recent reading :-

~~~
Simulated powder X-ray diffraction pattern of BaCrAg for copper Kα, from a DFT-relaxed cell (GGA-PBE, Alexandria).
No peak broadening, texture or thermal motion is included.

Structure:
Cell: 4.8897 4.8897 4.5362 Å, 90.00 90.00 120.00°
Fractional coordinates of all 3 atoms:
Ba (0.0000, 0.0000, 0.0000)
Cr (0.6667, 0.3333, 0.5000)
Ag (0.3333, 0.6667, 0.5000)

Main lines, in order of falling intensity (2θ from 10° to 80°):
2θ 28.84, I 100; 2θ 36.76, I 47; 2θ 55.24, I 28; 2θ 47.38, I 25; 2θ 61.43, I 22; 2θ 39.74, I 13; 2θ 20.98, I 11; 2θ 65.55, I 9; 2θ 66.21, I 8; 2θ 77.59, I 6

---

Simulated powder X-ray diffraction pattern of CsBaAgO2 for copper Kα, from a DFT-relaxed cell (GGA-PBE, Alexandria).
No peak broadening, texture or thermal motion is included.

Structure:
Cell: 8.2077 8.2077 6.0811 Å, 90.00 90.00 122.95°
Fractional coordinates of all 10 atoms:
Cs (0.2500, 0.7500, 0.9354)
Cs (0.7500, 0.2500, 0.0646)
Ba (0.2500, 0.2500, 0.5000)
Ba (0.7500, 0.7500, 0.5000)
Ag (0.0000, 0.0000, 0.0000)
Ag (0.5000, 0.5000, 0.0000)
O (0.0795, 0.9205, 0.7169)
O (0.4205, 0.5795, 0.7169)
O (0.5795, 0.4205, 0.2831)
O (0.9205, 0.0795, 0.2831)

Main lines, in order of falling intensity (2θ from 10° to 80°):
2θ 27.07, I 100; 2θ 36.96, I 92; 2θ 24.69, I 64; 2θ 12.27, I 45; 2θ 19.09, I 37; 2θ 38.74, I 36; 2θ 29.38, I 29; 2θ 58.35, I 24; 2θ 29.82, I 18; 2θ 61.93, I 17

---

Simulated powder X-ray diffraction pattern of BaCuAg for copper Kα, from a DFT-relaxed cell (GGA-PBE, Alexandria).
No peak broadening, texture or thermal motion is included.

Structure:
Cell: 4.5778 4.5778 16.2154 Å, 90.00 90.00 90.00°
Fractional coordinates of all 12 atoms:
Ba (0.0000, 0.0000, 0.0000)
Ba (0.0000, 0.5000, 0.2500)
Ba (0.5000, 0.0000, 0.7500)
Ba (0.5000, 0.5000, 0.5000)
Cu (0.0000, 0.0000, 0.4238)
Cu (0.0000, 0.0000, 0.5762)
Cu (0.5000, 0.5000, 0.0762)
Cu (0.5000, 0.5000, 0.9238)
Ag (0.0000, 0.5000, 0.6621)
Ag (0.0000, 0.5000, 0.8379)
Ag (0.5000, 0.0000, 0.1621)
Ag (0.5000, 0.0000, 0.3379)

Main lines, in order of falling intensity (2θ from 10° to 80°):
2θ 29.72, I 100; 2θ 33.87, I 61; 2θ 39.37, I 46; 2θ 52.89, I 33; 2θ 43.80, I 28; 2θ 25.50, I 26; 2θ 60.34, I 21; 2θ 65.50, I 20; 2θ 56.89, I 15; 2θ 64.25, I 10

~~~~~

Starting from the PBE geometry in Alexandria, the PXRD pattern of DyPd6Au3 was calculated for Cu Kα (weighted mean of Kα1 and Kα2).

Top 12 peaks for 10° ≤ 2θ ≤ 90°, sorted by position:
| d/Å | 2θ/deg | I/Imax |
| --- | --- | --- |
| 2.358 | 38.17 | 100 |
| 2.141 | 42.21 | 20 |
| 2.121 | 42.63 | 17 |
| 1.894 | 48.04 | 13 |
| 1.507 | 61.55 | 11 |
| 1.418 | 65.85 | 10 |
| 1.412 | 66.20 | 5 |
| 1.274 | 74.48 | 14 |
| 1.266 | 75.03 | 6 |
| 1.265 | 75.10 | 6 |
| 1.179 | 81.71 | 5 |
| 1.164 | 82.91 | 10 |

Cell and atoms:
```
20
Lattice="8.6861 0.0000 0.0000 0.0000 4.2815 0.0000 -0.8462 0.0000 9.2475" Properties=species:S:1:pos:R:3 pbc="T T T"
Dy 0.2607 1.0704 3.4653
Dy 7.5793 3.2111 5.7822
Pd -0.3296 3.2111 8.4175
Pd 0.6891 1.0704 6.4900
Pd 1.2192 3.2111 1.8901
~~~

Claire Messud's The Emperor's Children :- the story of privileged New Yorkers in the months just before and after 9/11. A book that is a chocolate box of many pleasures - not perfect, but always absorbing and intelligent. 9/11 itself is approached in an exemplary and subtle way.

Donne : the reformed soul, by John Stubbs. An excellent new biography of one of the poets on the Leaving Certificate course. Stubbs is particularly good on the slow but dramatic development of Donne's life from lad about town 'Jack Donne' to the famous Dr Donne, Dean of St Paul's Cathedral. He provides a rich evocative portrait of London, and writes movingly on the central relationship of the poet's life, that with his much younger wife Ann.

Julian Girdham

Monday, January 22, 2007

Senior Poetry Prize 2007

Entries for the Senior Poetry Prize are due in by the end of term. This year candidates should write between two and five linked poems inspired by or based on the idea of either 'Voices' or 'Pictures.' See more details and ideas by clicking here.

As with our other academic prizes, a book token will be awarded to the winner, and the book bought from this presented on St Columba's Day. This prize however is also marked by the trophy (pictured, in the Library) which is in memory of Old Columban Peter Dix, who was tragically killed in the Lockerbie bombing of 1988. Past winners' names are engraved on the back. The sculptor is Joe Sloan.

Saturday, January 20, 2007

The Shape We're In

Sophie Haslett's essay on 'The Shape We're In', which is due to be published in 'Teen Times' in the Irish Times in the coming weeks, starts :-

"She's far too thin. Everyone agrees on that. In those shrunken hot pants and skinny vest she looks positively ill, like an urchin from Oliver Twist, albeit one with this season's Prada handbag and hair extensions. But just how skinny is Victoria Beckham? How would it feel if she sat on your lap? Would she be heavier than a kitten? If you hugged her, would she break?"

Read on ...

Friday, January 19, 2007

How much do you read?

Thanks to the excellent service from the people from Zoho, we add today our first voting poll (see top of right sidebar). How many books do you read in a normal month? After a while, we'll move this poll to a new sub-section, and post new ones occasionally, with a few between now and World Book Day on March 1st surveying the reading habits of our visitors.

Thursday, January 18, 2007

Disaster - Morpheous

Here is Archie Brooke's story, 'Disaster - Morpheous', a piece written for his Junior Certificate course which imagines a distant future in a world hit by global warming.

Here the article breaks off for calculated crystals:
~~~
(1)
Calculated PXRD pattern
Compound: Sb2AuCl
Radiation: λ = 1.5418 Å (Cu Kα)
Structure: a DFT-relaxed cell (GGA-PBE, Alexandria)

Structure:
Cell lengths 14.265, 3.891, 4.209 Å; angles 90.00, 106.78, 90.00 degrees
Atoms (fractional coordinates):
Sb (0.000, 0.000, 0.000)
Sb (0.171, 0.500, 0.167)
Sb (0.500, 0.500, 0.000)
Sb (0.671, 0.000, 0.167)
Au (0.138, 0.000, 0.635)
Au (0.638, 0.500, 0.635)
Cl (0.393, 0.000, 0.392)
Cl (0.893, 0.500, 0.392)

The 10 most intense peaks (10° ≤ 2θ ≤ 80°), most intense first:
12.96 deg, d 6.829, I = 1000; 34.07 deg, d 2.632, I = 499; 33.96 deg, d 2.640, I = 494; 41.10 deg, d 2.196, I = 242; 41.29 deg, d 2.186, I = 235; 23.78 deg, d 3.742, I = 230; 42.98 deg, d 2.105, I = 180; 26.10 deg, d 3.414, I = 178; 46.69 deg, d 1.946, I = 141; 30.22 deg, d 2.958, I = 118



(2)
Calculated PXRD pattern
Compound: SnGeB2Br
Radiation: λ = 1.5418 Å (Cu Kα)
Structure: a DFT-relaxed cell (GGA-PBE, Alexandria)

Structure:
Cell lengths 4.474, 4.474, 5.783 Å; angles 90.00, 90.00, 90.00 degrees
Atoms (fractional coordinates):
Sn (0.000, 0.000, 0.000)
Ge (0.500, 0.500, 0.500)
B (0.000, 0.500, 0.000)
B (0.500, 0.000, 0.000)
Br (0.000, 0.000, 0.500)

The 10 most intense peaks (10° ≤ 2θ ≤ 80°), most intense first:
28.21 deg, d 3.164, I = 1000; 42.35 deg, d 2.134, I = 682; 19.84 deg, d 4.474, I = 565; 51.66 deg, d 1.770, I = 543; 30.93 deg, d 2.891, I = 506; 25.17 deg, d 3.539, I = 502; 40.31 deg, d 2.237, I = 486; 67.48 deg, d 1.388, I = 280; 74.69 deg, d 1.271, I = 263; 37.02 deg, d 2.428, I = 234



(3)
Calculated PXRD pattern
Compound: Nd2Y5Ho2
Radiation: λ = 1.5418 Å (Cu Kα)
Structure: a DFT-relaxed cell (GGA-PBE, Alexandria)

Structure:
Cell lengths 8.019, 8.019, 8.023 Å; angles 107.49, 107.49, 36.87 degrees
Atoms (fractional coordinates):
Nd (0.222, 0.222, 0.334)
Nd (0.778, 0.778, 0.666)
Y (0.000, 0.000, 0.000)
Y (0.110, 0.110, 0.667)
Y (0.334, 0.334, 0.999)
Y (0.666, 0.666, 0.001)
Y (0.890, 0.890, 0.333)
Ho (0.445, 0.445, 0.667)
Ho (0.555, 0.555, 0.333)

The 10 most intense peaks (10° ≤ 2θ ≤ 80°), most intense first:
30.53 deg, d 2.928, I = 1000; 35.39 deg, d 2.536, I = 502; 60.54 deg, d 1.529, I = 416; 50.92 deg, d 1.793, I = 353; 63.54 deg, d 1.464, I = 120; 74.89 deg, d 1.268, I = 55; 11.63 deg, d 7.609, I = 30; 25.52 deg, d 3.491, I = 21; 18.54 deg, d 4.785, I = 19; 13.99 deg, d 6.332, I = 14



What is the formula in the third record?
Nd2Y5Ho2

~~~~~

Record 1
The following is a computed powder X-ray diffraction pattern of Mg4SnPb. It was derived from a structure optimized by DFT (GGA-PBE), using Cu Kα, 1.54184 Å.
Peak positions follow from Bragg's law for the DFT cell and can differ from measured ones.

Largest 8 diffraction maxima, by angle, 2θ from 10° to 80°:
22.46°, intensity 100
25.99°, intensity 24
37.09°, intensity 74
43.79°, intensity 54
53.46°, intensity 13
58.68°, intensity 19
66.82°, intensity 18
71.47°, intensity 11

Atomic structure:
a b c (Å): 8.399 4.852 8.394
angles (deg): 90.00 109.58 90.00
~~~

Tuesday, January 16, 2007

Our Calendar

A new feature on this blog : in the right-hand sidebar (and also here), under 'About Us', there's now a link to our English Department calendar. You can find our schedule of Department events, academic deadlines, prizes, drama productions, term dates and also many general school events.

Elizabeth Bishop

One of the most popular and absorbing writers on our Leaving Certificate course is the American poet Elizabeth Bishop (the selection includes 'The Fish', 'Filling Station', 'Sestina' and 'The Bight'). A fascinating recent book edited by Alice Quinn, Edgar Allan Poe & the Juke-Box, is in our Library and puts together many of her uncollected poems, drafts and fragments. It is reviewed interestingly by Gillian White in the London Review of Books here. As White writes, 'Bishop could mull over a draft for more than a decade in wait for the right line or word,' and 'as Bishop says in one of her prose drafts, "it takes great skill to make poetry seem natural".'

Saturday, January 13, 2007

English Prize Winners

┌──
Entry 1:
Simulated powder diffractogram
Compound: Mg7Si4
Radiation: λ = 1.5418 Å (Cu Kα)
Structure: a cell relaxed with PBE
Lines closer than 0.1° are merged.

Structure:
```
data_Mg7Si4
_space_group_name_H-M_alt 'P 1'
_space_group_IT_number 1
_cell_length_a 4.393
_cell_length_b 6.532
_cell_length_c 15.593
_cell_angle_alpha 83.39
_cell_angle_beta 82.16
_cell_angle_gamma 89.43
loop_
_space_group_symop_operation_xyz
'x,y,z'
loop_
_atom_site_label
_atom_site_type_symbol
_atom_site_fract_x
_atom_site_fract_y
_atom_site_fract_z
Mg1 Mg 0.000 0.000 0.000
Mg2 Mg 0.004 0.507 0.989
Mg3 Mg 0.163 0.821 0.665
Mg4 Mg 0.281 0.834 0.442
Mg5 Mg 0.292 0.341 0.426
Mg6 Mg 0.434 0.200 0.121
Mg7 Mg 0.459 0.718 0.085
Mg8 Mg 0.547 0.275 0.904
Mg9 Mg 0.566 0.799 0.872
Mg10 Mg 0.641 0.173 0.710
Mg11 Mg 0.725 0.537 0.554
Mg12 Mg 0.741 0.052 0.522
Mg13 Mg 0.831 0.630 0.343
Mg14 Mg 0.856 0.145 0.306
Si1 Si 0.085 0.092 0.824
Si2 Si 0.098 0.478 0.808
Si3 Si 0.205 0.219 0.594
Si4 Si 0.373 0.854 0.258
Si5 Si 0.379 0.463 0.254
Si6 Si 0.633 0.593 0.727
Si7 Si 0.914 0.880 0.174
Si8 Si 0.915 0.491 0.170
```

The 10 most intense peaks (2θ from 15° to 90°), by angle:
2θ/deg	I/Imax	(hkl)
34.6	71	1 2 0
34.9	55	-1 2 1
35.0	39	1 -2 1
36.3	14	-1 2 2
38.0	35	0 2 5
38.1	64	1 0 -5
38.3	100	1 0 6
38.5	13	1 2 -2
41.1	90	2 0 1
57.1	20	2 2 6

Entry 2:
Simulated powder diffractogram
Compound: CeSe2
Radiation: λ = 1.5418 Å (Cu Kα)
Structure: a cell relaxed with PBE
Lines closer than 0.1° are merged.

Structure:
```
data_CeSe2
_space_group_name_H-M_alt 'C m c 21'
_space_group_IT_number 36
_cell_length_a 4.090
_cell_length_b 7.085
_cell_length_c 39.329
_cell_angle_alpha 90.00
_cell_angle_beta 90.00
_cell_angle_gamma 90.00
loop_
_space_group_symop_operation_xyz
'x,y,z'
'-x,-y,z+1/2'
'-x,y,z'
'x,-y,z+1/2'
'x+1/2,y+1/2,z'
'-x+1/2,-y+1/2,z+1/2'
'-x+1/2,y+1/2,z'
'x+1/2,-y+1/2,z+1/2'
loop_
_atom_site_label
_atom_site_type_symbol
_atom_site_fract_x
_atom_site_fract_y
_atom_site_fract_z
Ce1 Ce 0.000 0.092 0.000
Ce2 Ce 0.000 0.242 0.333
Se1 Se 0.000 0.091 0.790
Se2 Se 0.000 0.093 0.876
Se3 Se 0.000 0.423 0.957
Se4 Se 0.000 0.429 0.043
```

The 10 most intense peaks (2θ from 15° to 90°), by angle:
2θ/deg	I/Imax	(hkl)
25.2	32	1 1 1
25.6	45	0 2 2
26.1	53	1 1 3
31.1	56	1 1 8
32.5	78	0 2 9
34.1	72	1 1 10
35.7	40	1 1 11
41.0	37	1 1 14
42.9	31	0 2 15
44.3	100	2 0 0

Entry 3:
Simulated powder diffractogram
Compound: Sc3InN
Radiation: λ = 1.5418 Å (Cu Kα)
Structure: a cell relaxed with PBE
Lines closer than 0.1° are merged.

Structure:
```
data_Sc3InN
_space_group_name_H-M_alt 'P m -3 m'
_space_group_IT_number 221
_space_group_name_Hall '-P 4 2 3'
_cell_length_a 4.475
_cell_length_b 4.475
_cell_length_c 4.475
_cell_angle_alpha 90.00
_cell_angle_beta 90.00
_cell_angle_gamma 90.00
loop_
_atom_site_label
_atom_site_type_symbol
_atom_site_fract_x
_atom_site_fract_y
_atom_site_fract_z
Sc1 Sc 0.000 0.000 0.500
In1 In 0.500 0.500 0.500
N1 N 0.000 0.000 0.000
```

The 10 most intense peaks (2θ from 15° to 90°), by angle:
└──

Congratulations to the winners of the two English Prizes, the exams for which were held at the end of last term : Hatty Homfray, VI form (Senior) and Fiona Boyd, III form (Junior).

Book tokens for other strong entries will be given to Patricia Jackson and Patrick Ussher (VI), Sophie Haslett and Ellie Russell (V), Joseph Millar (IV), Miriam Poulton (II), Patrick Tice (I) and Kezia Wright (P). We hope to feature some of the work here in due course.

Thursday, January 11, 2007

The Hypochondriac

Rehearsals have started for this year's Junior Play, Molière's The Hypochrondriac, which is being directed by Sandrine Pac and Head of Drama Jeremy Stone. For the cast, click here (more performers and back-stage helpers are currently being recruited). The performances will be in the BSR on Friday 9th and Saturday 10th February. For the play itself, click here. More on the production nearer the time.

Tuesday, January 09, 2007

Transition Year Work Portfolio

Our Transition Year have just started on their Work Portfolios (here). Last term they completed their Extended Essays, which are lengthy literary analyses. The Portfolio, however, helps them develop their creative, narrative and discursive writing, and each year produces some fine writing. Some of the best pieces are read at our English Evening in late May, as the year completes the course, and indeed in the coming months we will post some of these here.

Sunday, January 07, 2007

Hilary Term 2007

Boarders return tomorrow night, and classes start again on Tuesday. As usual, term will be very busy. In terms of regular work, it's not too far from Mock Leaving and Junior Certificate exams in late February. The winners of the Senior and Junior English Prizes will be announced shortly (these exams were taken at the end of last term). The Willis Prize for Shakespeare will be held near the end of term. Transition Year pupils, having recently finished their major Extended Essays, will this term be starting their Work Portfolios, further developing their creative writing skills. The Transition Year Academic Prize Presentations will be held near the end of term. There are two dramatic productions this term - the Junior Play, The Hypochondriac, by Molière (pictured), and the St Andrew's Festival one-act entry, Chekhov's A Marriage Proposal. The House Debating finals are on February 3rd. In mid-March we have our annual Actiontrack 'taster' workshops for II form.

Over the term we'll be posting plenty of news about other events, and plenty of work by our pupils.